== To do ==
What is needed: write out everything further below word for word.
== Contents ==
/*
[1]
The following is a calculated XRD peak list of LiVP4O12. It was derived from a DFT-relaxed cell (PBE+U, the Materials Project), using copper Kα.
Intensities are scaled so that the largest is 100.

Peak list (12 most intense, 2θ = 15–90°, by intensity)
18.50 deg, d = 4.797 Å, rel. 100, hkl 2 0 -1
27.95 deg, d = 3.192 Å, rel. 47, hkl 3 3 0
21.25 deg, d = 4.182 Å, rel. 45, hkl 4 0 0
21.55 deg, d = 4.124 Å, rel. 43, hkl 1 1 1
24.01 deg, d = 3.707 Å, rel. 38, hkl 2 2 -1
23.71 deg, d = 3.753 Å, rel. 38, hkl 0 2 1
27.74 deg, d = 3.216 Å, rel. 37, hkl 5 1 0
28.94 deg, d = 3.085 Å, rel. 36, hkl 1 3 -1
35.76 deg, d = 2.511 Å, rel. 28, hkl 3 3 1
29.22 deg, d = 3.057 Å, rel. 26, hkl 5 1 -1
35.39 deg, d = 2.536 Å, rel. 25, hkl 5 3 0
53.88 deg, d = 1.701 Å, rel. 16, hkl 5 5 1

Crystal structure
```
data_LiVP4O12
_chemical_formula_sum 'Li4 V4 P16 O48'
_cell_length_a 17.3056
_cell_length_b 11.6681
_cell_length_c 5.0709
_cell_angle_alpha 90.00
_cell_angle_beta 104.87
_cell_angle_gamma 90.00
_space_group_name_H-M_alt 'C 1 2/m 1'
_space_group_IT_number 12
loop_
_space_group_symop_operation_xyz
'x,y,z'
'-x,-y,-z'
'-x,y,-z'
'x,-y,z'
'x+1/2,y+1/2,z'
'-x+1/2,-y+1/2,-z'
'-x+1/2,y+1/2,-z'
'x+1/2,-y+1/2,z'
loop_
_atom_site_label
_atom_site_type_symbol
_atom_site_fract_x
_atom_site_fract_y
_atom_site_fract_z
Li1 Li 0.2500 0.2500 0.0000
V1 V 0.1467 0.0000 0.6802
P1 P 0.0860 0.1771 0.1533
P2 P 0.1874 0.3810 0.4381
O1 O 0.0000 0.2273 0.0000
O2 O 0.0784 0.1123 0.4009
O3 O 0.1241 0.1182 0.9550
O4 O 0.1302 0.2974 0.2235
O5 O 0.1396 0.5000 0.3512
O6 O 0.1933 0.3530 0.7263
O7 O 0.2356 0.1143 0.6571
```

[2]
The following is a calculated XRD peak list of Li2VP2O8. It was derived from a DFT-relaxed cell (PBE+U, the Materials Project), using copper Kα.
Intensities are scaled so that the largest is 100.

Peak list (12 most intense, 2θ = 15–90°, by intensity)
24.51 deg, d = 3.631 Å, rel. 100, hkl 1 0 -1
25.53 deg, d = 3.489 Å, rel. 65, hkl 1 1 1
34.57 deg, d = 2.595 Å, rel. 32, hkl 0 1 -2
33.79 deg, d = 2.653 Å, rel. 29, hkl 0 1 2
33.58 deg, d = 2.669 Å, rel. 25, hkl 1 -1 0
37.50 deg, d = 2.398 Å, rel. 24, hkl 2 1 0
40.56 deg, d = 2.224 Å, rel. 19, hkl 0 2 0
65.67 deg, d = 1.422 Å, rel. 15, hkl 3 1 -2
43.91 deg, d = 2.062 Å, rel. 13, hkl 1 -1 2
71.97 deg, d = 1.312 Å, rel. 9, hkl 3 1 3
54.60 deg, d = 1.681 Å, rel. 8, hkl 2 2 -2
54.83 deg, d = 1.674 Å, rel. 8, hkl -2 1 1

Crystal structure
```
data_Li2VP2O8
_chemical_formula_sum 'Li2 V1 P2 O8'
_cell_length_a 4.8318
_cell_length_b 4.8365
_cell_length_c 6.5018
_cell_angle_alpha 87.99
_cell_angle_beta 87.97
_cell_angle_gamma 67.01
_space_group_name_H-M_alt 'P 1'
_space_group_IT_number 1
loop_
_space_group_symop_operation_xyz
'x,y,z'
loop_
_atom_site_label
_atom_site_type_symbol
_atom_site_fract_x
_atom_site_fract_y
_atom_site_fract_z
Li1 Li 0.0000 0.0000 0.0000
Li2 Li 0.3257 0.3251 0.2381
V1 V 0.9991 0.9992 0.5313
P1 P 0.3504 0.3511 0.7548
P2 P 0.6616 0.6620 0.2934
O1 O 0.2266 0.7041 0.7372
O2 O 0.2381 0.2400 0.5619
O3 O 0.2517 0.2536 0.9569
O4 O 0.3064 0.7767 0.3086
O5 O 0.7038 0.2277 0.7376
O6 O 0.7671 0.7691 0.0999
O7 O 0.7696 0.7701 0.4877
O8 O 0.7774 0.3077 0.3083
```

[3]
The following is a calculated XRD peak list of LiVP4O12. It was derived from a DFT-relaxed cell (PBE+U, the Materials Project), using copper Kα.
Intensities are scaled so that the largest is 100.

Peak list (12 most intense, 2θ = 15–90°, by intensity)
24.30 deg, d = 3.663 Å, rel. 100, hkl 1 2 0
15.48 deg, d = 5.725 Å, rel. 95, hkl 0 1 1
26.65 deg, d = 3.344 Å, rel. 87, hkl 1 0 2
28.51 deg, d = 3.131 Å, rel. 64, hkl 2 1 -1
16.05 deg, d = 5.521 Å, rel. 49, hkl 1 1 0
16.21 deg, d = 5.467 Å, rel. 47, hkl 1 0 -1
19.32 deg, d = 4.595 Å, rel. 41, hkl 1 1 -1
27.22 deg, d = 3.276 Å, rel. 31, hkl 1 2 1
23.92 deg, d = 3.721 Å, rel. 29, hkl 0 2 1
20.14 deg, d = 4.409 Å, rel. 25, hkl 1 1 1
28.69 deg, d = 3.112 Å, rel. 21, hkl 1 1 2
25.38 deg, d = 3.509 Å, rel. 20, hkl 1 0 -2

Crystal structure
```
data_LiVP4O12
_chemical_formula_sum 'Li2 V2 P8 O24'
*/
== Solution ==
[1]
The following is a calculated XRD peak list of LiVP4O12. It was derived from a DFT-relaxed cell (PBE+U, the Materials Project), using copper Kα.
Intensities are scaled so that the largest is 100.

Peak list (12 most intense, 2θ = 15–90°, by intensity)
18.50 deg, d = 4.797 Å, rel. 100, hkl 2 0 -1
27.95 deg, d = 3.192 Å, rel. 47, hkl 3 3 0
21.25 deg, d = 4.182 Å, rel. 45, hkl 4 0 0
21.55 deg, d = 4.124 Å, rel. 43, hkl 1 1 1
24.01 deg, d = 3.707 Å, rel. 38, hkl 2 2 -1
23.71 deg, d = 3.753 Å, rel. 38, hkl 0 2 1
27.74 deg, d = 3.216 Å, rel. 37, hkl 5 1 0
28.94 deg, d = 3.085 Å, rel. 36, hkl 1 3 -1
35.76 deg, d = 2.511 Å, rel. 28, hkl 3 3 1
29.22 deg, d = 3.057 Å, rel. 26, hkl 5 1 -1
35.39 deg, d = 2.536 Å, rel. 25, hkl 5 3 0
53.88 deg, d = 1.701 Å, rel. 16, hkl 5 5 1

Crystal structure
```
data_LiVP4O12
_chemical_formula_sum 'Li4 V4 P16 O48'
_cell_length_a 17.3056
_cell_length_b 11.6681
_cell_length_c 5.0709
_cell_angle_alpha 90.00
_cell_angle_beta 104.87
_cell_angle_gamma 90.00
_space_group_name_H-M_alt 'C 1 2/m 1'
_space_group_IT_number 12
loop_
_space_group_symop_operation_xyz
'x,y,z'
'-x,-y,-z'
'-x,y,-z'
'x,-y,z'
'x+1/2,y+1/2,z'
'-x+1/2,-y+1/2,-z'
'-x+1/2,y+1/2,-z'
'x+1/2,-y+1/2,z'
loop_
_atom_site_label
_atom_site_type_symbol
_atom_site_fract_x
_atom_site_fract_y
_atom_site_fract_z
Li1 Li 0.2500 0.2500 0.0000
V1 V 0.1467 0.0000 0.6802
P1 P 0.0860 0.1771 0.1533
P2 P 0.1874 0.3810 0.4381
O1 O 0.0000 0.2273 0.0000
O2 O 0.0784 0.1123 0.4009
O3 O 0.1241 0.1182 0.9550
O4 O 0.1302 0.2974 0.2235
O5 O 0.1396 0.5000 0.3512
O6 O 0.1933 0.3530 0.7263
O7 O 0.2356 0.1143 0.6571
```

[2]
The following is a calculated XRD peak list of Li2VP2O8. It was derived from a DFT-relaxed cell (PBE+U, the Materials Project), using copper Kα.
Intensities are scaled so that the largest is 100.

Peak list (12 most intense, 2θ = 15–90°, by intensity)
24.51 deg, d = 3.631 Å, rel. 100, hkl 1 0 -1
25.53 deg, d = 3.489 Å, rel. 65, hkl 1 1 1
34.57 deg, d = 2.595 Å, rel. 32, hkl 0 1 -2
33.79 deg, d = 2.653 Å, rel. 29, hkl 0 1 2
33.58 deg, d = 2.669 Å, rel. 25, hkl 1 -1 0
37.50 deg, d = 2.398 Å, rel. 24, hkl 2 1 0
40.56 deg, d = 2.224 Å, rel. 19, hkl 0 2 0
65.67 deg, d = 1.422 Å, rel. 15, hkl 3 1 -2
43.91 deg, d = 2.062 Å, rel. 13, hkl 1 -1 2
71.97 deg, d = 1.312 Å, rel. 9, hkl 3 1 3
54.60 deg, d = 1.681 Å, rel. 8, hkl 2 2 -2
54.83 deg, d = 1.674 Å, rel. 8, hkl -2 1 1

Crystal structure
```
data_Li2VP2O8
_chemical_formula_sum 'Li2 V1 P2 O8'
_cell_length_a 4.8318
_cell_length_b 4.8365
_cell_length_c 6.5018
_cell_angle_alpha 87.99
_cell_angle_beta 87.97
_cell_angle_gamma 67.01
_space_group_name_H-M_alt 'P 1'
_space_group_IT_number 1
loop_
_space_group_symop_operation_xyz
'x,y,z'
loop_
_atom_site_label
_atom_site_type_symbol
_atom_site_fract_x
_atom_site_fract_y
_atom_site_fract_z
Li1 Li 0.0000 0.0000 0.0000
Li2 Li 0.3257 0.3251 0.2381
V1 V 0.9991 0.9992 0.5313
P1 P 0.3504 0.3511 0.7548
P2 P 0.6616 0.6620 0.2934
O1 O 0.2266 0.7041 0.7372
O2 O 0.2381 0.2400 0.5619
O3 O 0.2517 0.2536 0.9569
O4 O 0.3064 0.7767 0.3086
O5 O 0.7038 0.2277 0.7376
O6 O 0.7671 0.7691 0.0999
O7 O 0.7696 0.7701 0.4877
O8 O 0.7774 0.3077 0.3083
```

[3]
The following is a calculated XRD peak list of LiVP4O12. It was derived from a DFT-relaxed cell (PBE+U, the Materials Project), using copper Kα.
Intensities are scaled so that the largest is 100.

Peak list (12 most intense, 2θ = 15–90°, by intensity)
24.30 deg, d = 3.663 Å, rel. 100, hkl 1 2 0
15.48 deg, d = 5.725 Å, rel. 95, hkl 0 1 1
26.65 deg, d = 3.344 Å, rel. 87, hkl 1 0 2
28.51 deg, d = 3.131 Å, rel. 64, hkl 2 1 -1
16.05 deg, d = 5.521 Å, rel. 49, hkl 1 1 0
16.21 deg, d = 5.467 Å, rel. 47, hkl 1 0 -1
19.32 deg, d = 4.595 Å, rel. 41, hkl 1 1 -1
27.22 deg, d = 3.276 Å, rel. 31, hkl 1 2 1
23.92 deg, d = 3.721 Å, rel. 29, hkl 0 2 1
20.14 deg, d = 4.409 Å, rel. 25, hkl 1 1 1
28.69 deg, d = 3.112 Å, rel. 21, hkl 1 1 2
25.38 deg, d = 3.509 Å, rel. 20, hkl 1 0 -2

Crystal structure
```
data_LiVP4O12
_chemical_formula_sum 'Li2 V2 P8 O24'